Modern Glass
____________
LaCeTc: optimized geometry, PBE-GGA.

It has space group F-43m (No. 216), with a = 6.913 Å, b = 6.913 Å, c = 6.913 Å, α = 90.00°, β = 90.00° and γ = 90.00°. The inequivalent atoms are La at (0.000, 0.000, 0.000), Ce at (0.000, 0.000, 0.500) and Tc at (0.250, 0.250, 0.250).

Its total moment is 0.40 μB per formula unit. As for the calculated total energy: -83.2 eV/cell. The relative energy among the computed polymorphs is 219 meV per atom. The density is 7.6 g/cm3.
____________
“A process whereby plate glass of high quality is made by floating it over a bath of molten tin is rapidly replacing the conventional plate-glass process in the U.S. The float process, developed in England about 10 years ago by the glass-making company Pilkington Bros. and introduced into the U.S. by PPC Industries, does away with the mechanical grinding and polishing operations that must be performed in the conventional method. It is therefore a significantly cheaper process. In the float process the glass as it leaves the melting furnace flows horizontally into the float bath, which is an oblong tank more than 100 feet long and broad enough to carry a ribbon of glass of the widest standard commercial size. The ribbon floats on molten tin, which has a perfectly flat surface.”
Moving the Masses
“In the Grand Central Terminal, in the heart of New York City, something like six hundred passenger trains are handled daily. These trains must be assigned to the proper tracks in the terminal with all the switching and signaling that such operations involve. And if the long obsolete practice of using stand switches with individual switchmen were still in vogue, it would require many hundred men continually on duty to operate these stands. The present method of operating the switches and crossovers and signals from a central point, known as an interlocking station, has enabled all these operations over an extensive area to be controlled by a small number of men headed by a ‘director,’ as shown in our illustration.”
Earth: Solid or Molten?
“Although the doctrine that the earth is a molten sphere, surrounded by a thin crust of solid matter, was once almost universally taught by geologists, there have of late years been brought forward several arguments to the contrary, which, apparently, are more in favor of its being a solid, or nearly solid mass throughout. For instance, whether it is possible for such a thin crust to remain solid, and not at once to become melted up and absorbed into the much greater mass of molten matter beneath it? In reality, it is evident that no crust could even commence to form on the surface, unless the sphere itself was at the moment actually giving off more heat to the surrounding atmosphere than it could supply from its more central parts.”
Working Like a Dog
“French nails, says the Mechanics' Magazine, are manufactured at Charleville, partly in large factories by machinery, partly in a multitude of small factories, or rather atéliers, scattered about the densely populated villages. These villages, and especially one of them, Neufmanil, are not only inhabited by people, but by an ouvrier [working] class of dogs. The labor of these dogs, whose hours are as exactly regulated as those of their human fellow laborers, consists in furnishing motive power to the bellows, which fan the furnaces of the atéliers. They get inside a wheel and turn it, just like squirrels in a cage.”
Heard It through the Grapevine
“The drying of grapes, for making raisins, is becoming a large industry in California, the highly saccharated juice of the American grapes peculiarly fitting them for the purpose.”